Patrick Stallings

If you were ever going to grow eyes in the back of your head, now is the time. Phi Delta Epsilon has brought back the Humans vs. Zombies competition
to campus.
This epic game of tag takes place April 8-12. Each day the game lasts from 8 a.m. to 8 p.m. Things get real on Friday, as the day extends until 10 p.m. to separate the winners from the losers.
This rivalry of the millennium is a fundraiser directly benefiting Akron Children’s Hospital Children’s Miracle Network. All proceeds from the event go toward supporting research and training, purchasing equipment and paying for uncompensated care, according to
### Unrelated to this article: records of crystals
********
Entry 1:
# LiCd2Si2 | Alexandria via LeMat-Bulk | PBE | relaxed
# - Density of states at the Fermi level: 1.2 states/eV/cell
# - Relative energy among the computed polymorphs: 0 meV/atom
# - Space group: I4/mmm
data_LiCd2Si2
_chemical_formula_sum 'Li1 Cd2 Si2'
_space_group_name_H-M_alt 'P 1'
_space_group_IT_number 1
_space_group_name_Hall 'P 1'
_cell_length_a 4.418
_cell_length_b 4.418
_cell_length_c 6.268
_cell_angle_alpha 69.37
_cell_angle_beta 69.37
_cell_angle_gamma 90.00
loop_
_atom_site_label
_atom_site_fract_x
_atom_site_fract_y
_atom_site_fract_z
Si1 0.605 0.605 0.790
Si2 0.395 0.395 0.210
Cd1 0.750 0.250 0.500
Cd2 0.250 0.750 0.500
Li1 0.000 0.000 0.000

***

Entry 2:
# Zn3BO | Alexandria via LeMat-Bulk | PBE | relaxed
# - Density of states at the Fermi level: 2.4 states/eV/cell
# - Relative energy among the computed polymorphs: 0 meV/atom
# - Space group: Pm-3m
data_Zn3BO
_chemical_formula_sum 'Zn3 B1 O1'
_space_group_name_H-M_alt 'P 1'
_space_group_IT_number 1
_space_group_name_Hall 'P 1'
_cell_length_a 4.094
_cell_length_b 4.094
_cell_length_c 4.094
_cell_angle_alpha 90.00
_cell_angle_beta 90.00
_cell_angle_gamma 90.00
loop_
_atom_site_label
_atom_site_fract_x
_atom_site_fract_y
_atom_site_fract_z
Zn1 0.500 0.000 0.000
Zn2 0.000 0.000 0.500
Zn3 0.000 0.500 0.000
B1 0.000 0.000 0.000
O1 0.500 0.500 0.500

***

Entry 3:
# Ac2Nd5Er4 | Alexandria via LeMat-Bulk | PBE | relaxed
# - Formation energy from the elements: 0.04 eV per atom
# - Density of states at the Fermi level: 15.6 states/eV/cell
# - Space group: P-1
data_Ac2Nd5Er4
_chemical_formula_sum 'Ac2 Nd5 Er4'
_space_group_name_H-M_alt 'P 1'
_space_group_IT_number 1
_space_group_name_Hall 'P 1'
_cell_length_a 6.337
_cell_length_b 9.769
_cell_length_c 13.234
_cell_angle_alpha 125.45
_cell_angle_beta 143.10
_cell_angle_gamma 70.69
loop_
_atom_site_label
_atom_site_fract_x
_atom_site_fract_y
_atom_site_fract_z
Ac1 0.224 0.270 0.316
Ac2 0.776 0.730 0.684
Nd1 0.684 0.815 0.954
Nd2 0.500 0.000 0.500
Nd3 0.942 0.545 0.131
Nd4 0.316 0.185 0.046
Nd5 0.058 0.455 0.869
Er1 0.145 0.361 0.594
Er2 0.611 0.910 0.236
Er3 0.389 0.090 0.764
Er4 0.855 0.639 0.406

***

Entry 4:
# Zn2SbMo | Alexandria via LeMat-Bulk | PBE | relaxed
# - Density of states at the Fermi level: 2.8 states/eV/cell
# - Total energy: -4.11 eV/atom
# - Space group: I4/mmm
data_Zn2SbMo
_chemical_formula_sum 'Zn2 Sb1 Mo1'
_space_group_name_H-M_alt 'P 1'
_space_group_IT_number 1
_space_group_name_Hall 'P 1'
_cell_length_a 5.302
_cell_length_b 5.302
_cell_length_c 5.302
_cell_angle_alpha 137.05
_cell_angle_beta 137.05
_cell_angle_gamma 62.36
loop_
_atom_site_label
_atom_site_fract_x
_atom_site_fract_y
_atom_site_fract_z
Mo1 0.250 0.750 0.500
Zn1 0.000 0.000 0.000
Zn2 0.500 0.500 0.000
Sb1 0.750 0.250 0.500

***

Entry 5:
# MgTa2Cl | Alexandria via LeMat-Bulk | PBE | relaxed
# - Density of states at the Fermi level: 6.0 states/eV/cell
# - Relative energy among the computed polymorphs: 835 meV/atom
# - Space group: I-4m2
data_MgTa2Cl
********
Humans vs. Zombies originated on another campus and utilized Nerf guns, but has since needed to adapt to ensure the safety of everyone on campus.
“There was not any hesitation from the university or university police to have the event this year,” said event organizer Eva Paoloni. “No problems were experienced last year, and both were informed well in advance of the game.”
In its second year on campus, the medical fraternity hopes to have an even bigger turnout this year. “Before, people were confused with the game,” said Michelle Sergi, the president of Phi Delta Epsilon. She added that handouts specifying the rules were distributed to participants.
The fraternity also extended sign-up days and showed videos to clear up how the game is played.
“I wanted at least 100 people to sign up to play to ensure a fun game; and we have definitely already reached this goal just after a few days of sign ups,” Paoloni said.
Unlike the actual zombie apocalypse, these stiffs must play by a particular set of rules.
All participants begin as humans, but a specially designated group of zombies scatter the campus looking to turn the humans to initiate the madness. Orange bandanas are worn at all times during gameplay on campus, with zombies designated by the bandana on their heads and humans sporting it on their arms. Students sign up solo or in groups.
“Teams allow for a better chance to accumulate points,” fraternity member Akhinav Raval said.
The only protection humans have from the zombies is a defense that would repel anyone wary of feet: A rolled up pair of socks. During the first four days of the competition, the sock bombs will stun zombies for five minutes, but only one minute on the final day.
This obviously does not allow anyone to live out their fantasy of being Daryl Dixon from “The Walking Dead,” picking off walkers with a crossbow. Instead they can load up a quiver of their fresh Sunday laundry load.
Safe zones from the zombies include any buildings and areas off campus. However, there is no use in hiding indoors from the zombies.
In order to win the game, humans must attain points by seeking out zombies and stunning them with their sock bombs. In turn, zombies acquire points by hunting down and converting their human prey.
Points are recorded on the UA Humans vs. Zombies Facebook page.
“The prize for winning is a trophy and knowing you helped little kids,” Phi Delta Epsilon member Chris Spolarich said.
“Typically Phi Delta Epsilon organizes it as a spring event because our Children’s Miracle Network Benefit Dinner is in the fall,” Paoloni said. “But who knows? Another zombie attack could be around the corner.”
So let the games begin, UA. This is the ultimate boot camp in preparing for the dead rising. That is, if the dead were allergic to socks.